Sympetrum fonscolombii

Family : Libellulidae

Text © Dr Didier Drugmand


Sympetrum fonscolombii male.

Male of Sympetrum fonscolombii. The bicoloured legs, red and blue eyes and reddish face are typical of the species © Juan Carlos Poveda

Sympetrum fonscolombii (Sélys, 1840) is known in English by the common name of Red-veined Darter (or Sympetrum).

It belongs to the family Libellulidae, in the suborder Anisoptera (dragonflies) of the order Odonata.

The Libellulidae are very similar to the other families of Anisoptera. Unlike the damselflies (suborder Zygoptera like Calopteryx virgo), they have large, spherical eyes that usually meet above the head, and a long, broad, often flattened abdomen.

Their hind wings are not shaped like the front pair and are spread horizontally when the insect lands (in line with the body in damselflies).

The group of cells formed by the veins of the hind wings, which are boot-shaped, is the criterion that distinguishes the Libellulidae from the other families of the suborder.

The body is also free of metallic shine, at least in the European species.

Mature males often develop a fine pale blue bloom on the thorax and abdomen.

The cerci of the females can sometimes be quite large.

These dragonflies like to perch on small, conspicuous supports with their bodies horizontal and their wings folded ready to fly.

In 1840, Baron Edmond de Sélys Longchamps (1813-1900) described the Red-veined Darter as Libellula fonscolombii.

This famous Belgian entomologist, mammalogist and ornithologist dedicated his new species to his colleague, the French entomologist Étienne Laurent Joseph Hippolyte Boyer de Fonscolombe (1772-1853), author of publications on dragonflies, articles on agricultural pests and a treatise on elementary entomology.

E. de Sélys Longchamps’ description is based on several specimens from his observations in Provence in August and in Belgium in July. He then included his new species in the genus Sympetrum created in 1833 by the English entomologist Newman.

The etymology of the name of this genus refers to the shape of the abdomen of these dragonflies. The name Sympetrum is composed of two parts from the Greek “σύμπυκνος” or “sympiknos”, meaning “compressed”, and “ἦτρον” or “êtron”, meaning the abdomen. Sympetrum could therefore be translated as “having a laterally compressed abdomen”.

In French the Red-veined Darter is known as “Sympétrum à nervures rouges”, in Italian as “Cardinale venerosse”, in Spanish as “Dardo de Venas Rojas” (in Catalan as “Pixaví nervat”), in Dutch as “Zwervende heidelibel” and in German as “Frühe Heidelibelle”.

Sympetrum fonscolombii mâle

Red-veined darter male on a stem. This species is easily recognised by the pale oblique spot on the thorax and the yellowish colour of the wings © Giuseppe Mazza

The genus Sympetrum comprises 73 species worldwide (except in Oceania, Indonesia, Malaysia, forest areas of South America and Africa) and 11 species in Europe. The seven most widespread species in Europe are the following: Sympetrum flaveolum (Linnæus, 1758); Sympetrum meridionale (Sélys, 1841); Sympetrum pedemontanum (Müller, 1766); Sympetrum sanguineum (Müller, 1764); Sympetrum striolatum (Charpentier, 1840); Sympetrum vulgatum (Linnæus, 1758).


Sympetrum fonscolombii is a widespread and common species throughout much of Western, Central and Southern Europe, including most Mediterranean islands. It is the only Libellulidae to occur in the Azores, Canary Islands and Madeira. It is also found in North Africa, the Middle East, Mongolia and South West Asia (including the Indian sub-continent, the islands of the Indian Ocean and Sri Lanka). Since the 1990s, the species has been increasingly found in North-Western Europe. This is particularly the case in Belgium, Southern Sweden and Finland, Poland, the UK and Ireland.

Sympetrum fonscolombii female

Female with the typical cream face. Some males also have an overall yellowish colour similar to that of the female © Patricia Hoedts

However, it remains to be confirmed whether the expansion of its range is the result of actual establishment of the species in these countries, or annual long-distance migrations, or a combination of both. Some researchers predict that the species will continue to expand its range northwards with the increase in average temperatures caused by current global warming.

The species may migrate in summer in some areas, particularly between France and Italy. These irregular migrations often involve several million individuals. They seem to be triggered by mass emergences in Piedmont, Italy, which take place from the end of July. The movements of the dragonflies were almost always observed close to the ground, between 20 cm and 2 m, either at the level of the passes or on the slopes. Relief and slope winds strongly influence the migrations. The dragonflies maintain their average course towards the West thanks to a solar compass (linked to a recently discovered gene that regulates the internal clock).

This Sympetrum also frequently crosses the Mediterranean to Southern France, Spain and several Mediterranean islands. Other migrations have been reported from Southwest Asia to the Southern Urals and northwards to Western Siberia and the Tien Shan (mountainous areas of Kazakhstan, Kyrgyzstan and Uzbekistan).

Sympetrum fonscolombii mate by forming a copulatory heart

Male and female mate by forming a copulatory heart. Male grasps female at the back of head. The receptive female places the genital pore under the male’s second abdominal segment to receive the sperm in the sperm reservoir © Patricia Hoedts


This is a pioneer species that prefers freshly dug ponds.

### Misplaced quantum chemistry results
/*
A.
Entry from OMol25: a 4-piece molecular cluster, H6IO3 overall (the ωB97M-V functional and the def2-TZVPD basis).

Calculated values
Frontier orbital gap: 7.91 eV
Lowest unoccupied orbital energy: 0.1340 Eh
Charge: -1

The geometry in XYZ format:
```
10
Properties=species:S:1:pos:R:3:mulliken_charge:R:1
I 10.617 0.996 24.150 -0.774
O 7.578 2.809 24.105 -0.633
H 7.768 2.533 23.219 0.327
H 8.262 2.521 24.694 0.264
O 10.806 0.663 20.635 -0.626
H 10.830 0.824 21.564 0.225
H 10.087 0.043 20.469 0.310
O 7.437 -0.628 23.413 -0.615
H 7.006 -1.089 24.148 0.260
H 8.047 -0.055 23.895 0.261
```

---

B.
Entry from OMol25: H6IO3 as an isolated structure (the ωB97M-V functional and the def2-TZVPD basis).

Calculated values
Frontier orbital gap: 7.61 eV
Lowest unoccupied orbital energy: 0.1335 Eh
Charge: -1

The geometry in XYZ format:
```
10
Properties=species:S:1:pos:R:3:mulliken_charge:R:1
I 0.332 0.219 1.204 -0.876
O -1.548 -1.664 0.248 -0.652
H -0.979 -0.907 0.112 0.228
H -1.118 -2.167 0.940 0.335
O -0.396 2.862 0.108 -0.633
H -0.688 1.956 0.210 0.303
H 0.472 2.791 -0.291 0.306
O 1.600 -1.284 -0.900 -0.629
H 1.610 -0.486 -0.370 0.287
H 0.714 -1.321 -1.260 0.329
```

---

Stability, highest: A

---

A.
Entry from OMol25: a 2-piece molecular cluster, C9H17N2 overall (the ωB97M-V functional and the def2-TZVPD basis).

Calculated values
Frontier orbital gap: 8.23 eV
Lowest unoccupied orbital energy: -0.1573 Eh
Charge: +1

The geometry in XYZ format:
```
28
Properties=species:S:1:pos:R:3:mulliken_charge:R:1
C -0.819 -1.128 -0.439 -0.282
C -1.407 1.025 0.338 -1.404
C -1.786 -0.221 0.066 0.881
C 0.518 -0.905 -0.490 0.298
C 0.068 1.451 0.170 0.414
C 1.031 0.321 0.075 0.565
C -3.307 -0.606 0.095 -1.649
C 1.402 -2.051 -0.970 -1.723
C 0.354 2.309 -1.144 -1.322
N 2.332 0.578 -0.075 -0.261
N 0.939 -0.635 2.147 -0.599
H -1.301 -1.979 -0.763 0.594
H -2.217 1.639 0.608 0.474
H 0.444 1.981 1.090 0.420
H -3.376 -1.233 0.930 0.394
H -3.390 -0.942 -0.936 0.441
H -3.857 0.197 0.390 0.439
H 2.483 -1.697 -0.981 0.294
H 1.191 -2.400 -1.974 0.371
H 1.344 -2.880 -0.316 0.369
H -0.036 1.798 -1.962 0.424
H 1.486 2.611 -1.334 0.273
H -0.266 3.138 -1.212 0.479
H 2.769 1.489 -0.073 0.325
H 2.829 -0.053 -0.666 0.073
H 1.081 -1.565 2.499 0.222
H 0.025 -0.260 2.229 0.243
H 1.467 0.019 2.697 0.250
```

---

B.
Entry from OMol25: an isolated ion of composition C9H17N2 and charge +1 (the ωB97M-V functional and the def2-TZVPD basis).

Calculated values
Frontier orbital gap: 9.85 eV
Lowest unoccupied orbital energy: -0.1283 Eh
Charge: +1

The geometry in XYZ format:
```
28
Properties=species:S:1:pos:R:3:mulliken_charge:R:1
C 0.673 2.554 1.521 -0.908
C -0.367 2.288 0.748 0.493
C -1.264 1.969 -0.182 -0.838
C -0.903 1.188 -1.536 -0.589
C -0.802 -0.294 -1.136 0.622
C -0.602 -1.261 -2.230 -2.089
N -1.743 -0.895 -0.240 -0.532
N 0.495 -0.275 -0.276 0.032
C 1.005 -0.846 0.797 1.156
C 2.397 -0.540 1.161 -1.773
C 0.172 -1.646 1.686 -1.475
H 0.810 1.953 2.436 0.269
H 1.060 3.545 1.373 0.319
*/
### End of the quantum chemistry results

Sympetrum fonscolombii prefers to breed in stagnant water of varying size, but usually shallow and warm, which can dry out in summer.

These are recently created water areas, quarry ponds and eutrophic ponds, but also temporary marshes, flooded sand pits, coastal lagoons, rice fields, etc.

Riverine vegetation is generally poorly developed and floating plants are rare or absent.

Individuals have been observed in all types of water, both stagnant (rich or poor in nutrients) and slightly flowing.

Red-veined Darter  larvae develop at the bottom of water, among submerged aquatic vegetation in shallow, sunny stagnant waters.

Adults are highly mobile and often unpredictable. They are regularly found away from water sources during the summer months. They often perch on shore vegetation.

They are ready to pounce on flying prey or intruders entering their territory.


The Red-veined Darter is a rather massive anisopteran. With a total length of 33 to 40 mm (22 to 29 mm for the abdomen alone) and a wingspan of +- 66 mm, it is one of the largest species in the genus Sympetrum.

The male is predominantly red. It has a characteristic oblique and distinct patch on the sides of its thorax.

The forewing veins are red and the base of the hindwing has a faint yellow spot.

The dorsal and lateral parts of abdominal segments 7 and 8 are largely black spotted. This is a feature that distinguishes it from the southern Sympetrum. The pterostigmas are pale and bordered by prominent black veins.

The legs of this Sympetrum are black with yellow stripes. Immature males are predominantly yellow: the abdomen, wing veins and forehead do not turn red until the dragonfly reaches maturity.

The female is generally yellowish. She also has two blue-grey eyes, a pale cream face and black spots on the top and sides of the last abdominal segments.

The exuviae and the last larval stage are small (15-20 mm) and stocky. The head is triangular. It has a spoon-shaped mask with no groove at the base and fairly regular teeth. Their abdomen has dorsal spines on segments 6 to 8 and small lateral spines on segments 8 and 9.

This species is closely related to a number of others.

Males and females of Sympetrum fonscolombii sometimes fly in tandem.

Males and females sometimes fly in tandem, with the male holding the tip of the abdomen against the back of the female’s head © Patricia Hoedts

It differs from them in the following characters : the Yellow-winged Darter (Sympetrum flaveolum) has a broad yellow band at the base of the wing and the lower part of the eyes is yellowish. The Banded Darter (Sympetrum pedemontanum) is characterised by a brown bar running across the wing and touching the pterostigma.

The Black Sympetrum (Sympetrum danae), the Spotted Darter (Sympetrum depressiusculum) and the Ruddy Darter (Sympetrum sanguineum) have completely black legs. Vagrant Darter (Sympetrum vulgatum) and Southern Darter (Sympetrum meridionale) have yellow legs with only a little black on the inside, and the black of the thoracic sutures is almost absent.

In Sympetrum vulgatum, the sides of the thorax are relatively evenly brown. The lower part of the eyes is usually not bluish. The male of the Common Darter (Sympetrum striolatum) has two yellowish stripes on the sides of the thorax. The lower part of the eyes is more yellowish. Both sexes of the Desert Darter (Sympetrum sinaiticum) have a black line on the sides of segments 2 and 3 of the thorax and less dark legs.

The female lays eggs, alone or with the male, on the surface of the water

The female lays eggs, alone or with the male, on the surface of the water © Angel Martinez Toro

Ethology and reproductive biology

This Sympetrum, like most species of the genus, is territorial. The male watches his territory from a fixed vantage point (e.g. the top of a water plant) and flies away at the slightest intrusion that violates his “property”. They will chase away any intruders by striking or biting them. It usually returns to the same perch after chasing prey or a rival. Their flight is fast and precise. It often exceeds 50 km/h.

Both males and females of Sympetrum fonscolombii feed by catching flying or moving insects. They often trap dipterans (especially mosquitoes), sexual flying ants, butterflies and sometimes other odonates. Aquatic larvae and nymphs prefer to hunt by lying in wait, hidden in aquatic plants or on the bottom of the water in the sediment.

They attack small invertebrates that come within their reach (insects (adults, eggs (e.g. Culicidae) or larvae (mainly Chironomidae)), cladocerans such as daphnids, annelids…). They also feed on small fish, fry, newts and amphibian tadpoles.

Larva of Sympetrum fonscolombii preying on a water plant.

Larva preying on a water plant. It feeds on small invertebrates and even small fish © Christophe Brochard

The female lays her eggs with the male or alone, on the surface of the water and sometimes on wet banks. They hatch in 10 to 25 days. The larval stage, which consists of about ten stages, lasts between 7 and 10 weeks (depending on the country). Very few larvae survive the winter in central and northern Europe.

However, it should be noted that some larvae overwinter in regions with mild winters. Emergence occurs in early spring or summer and adults disperse rapidly once their wings are functional.

In Europe, the flight period of the imago of Sympetrum fonscolombii extends from May to October. Emergence has sometimes been observed in mid-winter in Southern Spain and Morocco. Unlike most other European dragonflies, this species has more than one generation per year (two in Western Europe and three in Spain, sometimes more elsewhere).

The larvae prey on other aquatic invertebrates (beetles such as the dytic, or even larvae of other dragonflies), fish, amphibians (newts, salamander larvae), birds (insectivorous passerines, certain falcons such as the Eleonora’s falcon) or small mammals (water shrews).

 Red-veined darter larva has excellent vision

The larva has excellent vision for hunting prey in the water thanks to its two hemispherical eyes on the sides of the triangular head © Christophe Brochard

Some species of spiders (such as the hornet spider Argiope bruennichi (Scopoli, 1772)) are also predators of imagos.

Sympetrum fonscolombii is not threatened with extinction (at least in Southern Europe). This is because it often takes advantage of its migratory habits to breed everywhere. It does not appear on the Red Lists of the European Community or the countries of the Old Continent.

The International Union for Conservation of Nature (IUCN) lists it as ‘Least Concern‘. However, the species is locally threatened by pesticides sprayed near water bodies. Its populations also suffer from the decline, destruction and fragmentation of certain aquatic ecosystems and the eutrophication of wetlands.

Synonyms et other combinations

Libellula fonscolombii Sélys, 1840 (basionyme) ; Tarnetrum fonscolombii (Sélys, 1840) ; Libellula erythroneura Schneider, 1845 ; Sympetrum insignis Brittinger, 1850; Sympetrum azorensis Gardner, 1959; Sympetrum rhaeticum Buchecker, 1876.